
Hair Transplant for Forehead Reduction

Hair Transplant for Forehead Reduction

Some women experience the challenge of having a large forehead and often seek ways to conceal it. Join us as we explore an alternative to surgical forehead reduction, which is the hair transplant for forehead reduction, a procedure pioneered by Dr. Ahmed Mekkawy.

Reasons for going for Hair Transplant for Forehead Reduction:
• Desire to achieve a smaller forehead size without resorting to surgical methods.
• Women experiencing hair loss and a receding hairline.
• Women with elevated hairlines, resulting in the appearance of a large forehead.
• receding hairline due to aging or hormonal changes in the body.
• Desire to reshape the front hairline for better facial structure.

Guidelines Prior to Undergoing a Hair Transplant for Forehead Reduction:
• Avoid smoking before the injection procedure.
• Avoid blood thinner medications, such as aspirin.
• Some tests might be required by the doctor before the procedure.
• The doctor might also prescribe specific medications to be taken prior to the injection procedure.

Steps of the Hair Transplant for Forehead Reduction Procedure:
Dr. Ahmed Mekkawy assesses the areas where he will extract the hair follicles.
• He then identifies the areas where hair will be transplanted and distributed.
• He uses a local anesthetic to numb the scalp.
• Hair follicles are carefully extracted from the designated areas.
• These follicles are cleaned and prepared for re-implantation.
• The follicles are transplanted into the predetermined areas on the forehead.

**Materials data, as found in the file**
-- begin --
[1]
# TaNb4B6
Theoretical powder diffractogram, Cu Kα, 1.54184 Å. Input: a cell relaxed with PBE.
Kinematic intensities with the Lorentz-polarization factor, no thermal factor.

The 10 most intense peaks (2θ from 10° to 90°), low angle first:
2θ 28.07, d 3.179, intensity 62.3; 2θ 34.49, d 2.601, intensity 98.7; 2θ 39.42, d 2.286, intensity 28.9; 2θ 41.22, d 2.190, intensity 100.0; 2θ 41.76, d 2.163, intensity 65.4; 2θ 48.61, d 1.873, intensity 20.2; 2θ 55.53, d 1.655, intensity 17.2; 2θ 67.03, d 1.396, intensity 28.4; 2θ 67.16, d 1.394, intensity 28.6; 2θ 74.31, d 1.276, intensity 23.1

Structural model:
Cell lengths 11.539, 11.539, 3.310 Å; angles 90.00, 90.00, 164.25 degrees
Sites, in units of the cell vectors:
Ta 0.000 0.000 0.000
Nb 0.194 0.806 0.500
Nb 0.386 0.614 0.000
Nb 0.614 0.386 0.000
Nb 0.806 0.194 0.500
B 0.081 0.919 0.500
B 0.272 0.728 0.000
B 0.461 0.539 0.500
B 0.539 0.461 0.500
B 0.728 0.272 0.000
B 0.919 0.081 0.500

[2]
# TaNb2B4
Theoretical powder diffractogram, Cu Kα, 1.54184 Å. Input: a cell relaxed with PBE.
Kinematic intensities with the Lorentz-polarization factor, no thermal factor.

The 10 most intense peaks (2θ from 10° to 90°), low angle first:
2θ 25.22, d 3.532, intensity 19.7; 2θ 27.69, d 3.221, intensity 73.9; 2θ 34.27, d 2.617, intensity 95.9; 2θ 38.22, d 2.355, intensity 31.2; 2θ 41.62, d 2.170, intensity 100.0; 2θ 42.05, d 2.149, intensity 62.1; 2θ 47.46, d 1.916, intensity 27.8; 2θ 66.92, d 1.398, intensity 27.6; 2θ 67.03, d 1.396, intensity 27.4; 2θ 74.78, d 1.270, intensity 22.2

Structural model:
Cell lengths 7.424, 7.424, 7.424 Å; angles 155.52, 154.25, 35.82 degrees
Sites, in units of the cell vectors:
Ta 0.000 0.000 0.000
Nb 0.185 0.685 0.500
Nb 0.815 0.315 0.500
B 0.368 0.868 0.500
B 0.436 0.436 0.000
B 0.564 0.564 0.000
B 0.632 0.132 0.500

[3]
# YNb2B
Theoretical powder diffractogram, Cu Kα, 1.54184 Å. Input: a cell relaxed with PBE.
Kinematic intensities with the Lorentz-polarization factor, no thermal factor.

The 10 most intense peaks (2θ from 10° to 90°), low angle first:
2θ 23.54, d 3.779, intensity 22.8; 2θ 27.25, d 3.273, intensity 10.6; 2θ 38.92, d 2.314, intensity 100.0; 2θ 45.99, d 1.973, intensity 11.5; 2θ 56.22, d 1.636, intensity 16.5; 2θ 61.78, d 1.502, intensity 4.7; 2θ 63.57, d 1.464, intensity 3.8; 2θ 70.48, d 1.336, intensity 32.8; 2θ 83.56, d 1.157, intensity 10.3; 2θ 88.35, d 1.106, intensity 3.5

Structural model:
Cell lengths 4.628, 4.628, 4.628 Å; angles 60.00, 60.00, 60.00 degrees
Sites, in units of the cell vectors:
Y 0.000 0.000 0.000
Nb 0.250 0.250 0.250
Nb 0.500 0.500 0.500
B 0.750 0.750 0.750

[4]
# NbZnB4
Theoretical powder diffractogram, Cu Kα, 1.54184 Å. Input: a cell relaxed with PBE.
Kinematic intensities with the Lorentz-polarization factor, no thermal factor.

The 10 most intense peaks (2θ from 10° to 90°), low angle first:
-- stop --
**End of the materials data**

Post-Transplant Guidelines for Optimal Results:
During the recovery process, adhering to recommendations can yield the best outcomes and minimize potential side effects, including:
• Avoiding intense physical exertion for a period of time and stopping smoking, alcohol, and caffeine. This ensures an adequate blood supply to the scalp to prevent the death of the newly transplanted follicles.
• Following the doctor's instructions regarding hair washing and changing medical dressings.
• Avoiding scalp scratching or applying excessive pressure on the newly transplanted follicles to prevent dislodging them.
• Maintaining a healthy, nutrient-rich diet to promote hair growth.

Risks Associated with Hair Transplant for Forehead Reduction:
During the initial recovery phase, there might be some temporary side effects, such as:
• Swelling, which is a common occurrence after hair transplantation. It diminishes over time and can be alleviated by applying cold compresses to the donor area.
• Minimal bleeding, which is usually natural. However, if bleeding persists or is substantial, immediate consultation with the doctor is advised.
• Bruising might occur but will fade without leaving any lasting marks.
• temporary itching, which subsides with time. It's crucial to avoid scratching the scalp to avoid any negative impact on the procedure.
• Pain or headaches can be managed with the pain relievers recommended by the doctor.
• The likelihood of infection is rare due to Dr. Ahmed Mekkawy's rigorous sterilization procedures. If an infection occurs, antibiotics prescribed by the doctor can effectively treat it.

Results of a Hair Transplant for Forehead Reduction:
Visible results from the hair transplant for forehead reduction procedure appear within six months. Transplanted hair follicles stabilize and begin adopting the characteristics of the recipient area.
Typically, the success rate of a hair transplant is around 99.6% for suitable candidates.
While final results might take longer in some cases due to individual hair growth rates and follicle density. Results are generally evident within a year, achieving a smaller forehead without the need for surgical intervention.

Frequently Asked Questions about Natural Hair Transplant:
Am I a suitable candidate for a hair transplant?
Ideal candidates for hair transplants should fulfill these criteria:
• Good overall health without chronic conditions that could hinder the procedure, such as heart disease, hepatitis, or diabetes.
• Adequate hair density at the back of the head to cover the areas experiencing hair loss.
• Age above 20, as hair transplants can be performed between ages 20 and 60.
• Willingness to adhere to Dr. Ahmed Mekkawy's instructions before and during the recovery process.
Is the hair transplant procedure painful?
Absolutely not. The hair transplant procedure is painless, as local anesthesia is administered before the procedure begins. There might be a brief moment of discomfort from the anesthesia injection, but it only lasts for a few seconds.
Are the results of a hair transplant permanent?
The outcomes of a hair transplant are permanent, provided there are no underlying chronic conditions causing ongoing hair loss. Transplanted follicles adapt to their new location's characteristics and appear entirely natural.
Should I go for a medical facility for a hair transplant?
Yes, it's advisable to undergo a hair transplant procedure in a well-equipped medical facility. This ensures a sterile environment that safeguards the extracted follicles and prevents infection.
Is it possible to perform a natural hair transplant from one person to another?
Currently, performing a natural hair transplant from one person to another is not feasible due to the body's immune response to foreign follicles. However, synthetic hair transplants might be an option for individuals with complete baldness.
What's the purpose of post-transplant PRP sessions?
Post-transplant PRP sessions stimulate the growth of transplanted hair follicles and supply them with essential nutrients, which prevents follicle loss during the recovery phase and guarantees the best possible results after the transplant.

Cost of a Natural Hair Transplant:
The cost of a natural hair transplant varies based on several factors, including:
• Number of hair follicles to be transplanted.
• Transplant technique and anesthesia type.
• Accommodation costs for patients coming from abroad.
• Hospital expenses and medical team fees.
At Dr. Ahmed Mekkawy's clinic, the cost starts at $1200. This comprehensive fee covers the transplant procedure, recovery kit, and a post-transplant PRP session. The cost of medical tourism starts at $1500, including a two-night stay, transportation, a PRP session, and a recovery kit.
Attaining a more proportionate forehead is an aesthetic goal. Don't hesitate to consult Dr. Ahmed Mekkawy, a specialist in plastic surgery and hair transplant, to achieve optimal results from this procedure with the leading hair transplant doctor in Egypt.

This content has been reviewed by Dr. Ahmed Mekkawy, a consultant in cosmetic surgery, body contouring, and natural hair transplantation.